_Job_
Now search the contents underneath for the word "C14H28O28S7" and transcribe each line that has it.

_Given_
This record from the Open Molecules 2025 dataset describes 7 unconnected molecules or ions with the total composition C14H28O28S7. The level of theory is wB97M-V/def2-TZVPD.

Geometry as XYZ:
```
77
Properties=species:S:1:pos:R:3:forces:R:3
C -5.9868 3.5983 1.4870 0.2 0.1 -2.5
C -7.3798 3.9294 0.9411 0.4 -0.2 1.4
O -8.1071 3.7970 2.1955 -1.3 -0.1 1.2
S -7.5542 2.6252 3.2861 0.3 2.0 -1.4
O -8.3897 1.4301 3.2648 2.0 2.1 -0.5
O -7.2701 3.2565 4.5690 -0.4 -1.1 -2.4
O -6.1573 2.5427 2.3468 -1.0 -2.7 2.8
H -5.4593 4.4356 1.9439 -0.5 0.2 0.2
H -5.3568 3.2325 0.6762 0.2 -0.1 0.0
H -7.8997 3.3255 0.1973 0.7 -0.7 0.1
H -7.3463 4.9140 0.4747 -0.5 0.5 0.9
C -9.5625 3.7790 -8.6696 -0.5 0.1 -0.7
C -10.0506 3.5586 -7.2628 -1.2 -2.3 0.5
O -9.1671 4.1314 -6.3555 1.9 2.0 0.6
S -8.0904 5.1436 -7.1148 -1.0 1.0 -0.2
O -6.7153 4.9509 -6.6921 -2.7 0.2 -0.5
O -8.6969 6.4973 -7.1399 1.6 -3.4 -0.2
O -8.2887 4.3226 -8.5200 1.9 1.7 0.6
H -10.2049 4.4362 -9.2557 0.0 0.1 0.0
H -9.4131 2.8451 -9.2115 -0.2 0.0 0.1
H -9.9999 2.4961 -7.0248 0.0 -0.2 -0.2
H -11.0988 3.7851 -7.0674 0.1 0.8 -0.1
C 3.2895 2.7199 -1.4810 -0.4 -1.6 1.7
C 2.6216 1.3062 -1.2125 0.6 1.1 0.4
O 1.1945 1.5306 -1.1861 -0.8 1.8 -0.8
S 0.7849 3.0281 -1.8601 0.8 1.2 -1.5
O 0.4476 4.0339 -0.8573 0.4 -2.4 -1.2
O -0.0374 2.9827 -3.0905 2.2 -0.7 3.4
O 2.3662 3.3256 -2.3306 -1.4 0.3 -1.1
H 4.3260 2.5929 -1.7934 -0.4 0.0 -1.3
H 3.4392 3.3568 -0.6091 -0.6 -0.3 0.6
H 2.9124 0.8674 -0.2581 -0.2 0.2 0.1
H 2.8815 0.5838 -1.9863 -0.2 0.2 -0.3
C 9.0711 -6.7328 -0.9069 2.1 1.4 1.6
C 9.0891 -6.2632 -2.3532 -1.4 -0.2 0.8
O 7.7253 -5.8805 -2.5081 -2.0 1.9 -1.3
S 7.1872 -5.0130 -1.1849 1.4 -0.1 -0.4
O 5.7627 -5.0338 -1.0853 1.1 -1.0 -0.2
O 7.7653 -3.6730 -0.9810 0.0 -3.3 -0.7
O 7.9002 -6.2314 -0.3473 -2.3 1.6 2.1
H 9.8767 -6.1837 -0.4195 0.4 -0.1 0.2
H 9.2100 -7.7474 -0.5333 -0.5 -0.3 -1.0
H 9.2952 -7.1368 -2.9717 0.2 0.8 -0.7
H 9.5958 -5.3031 -2.4513 1.1 -0.7 -0.4
C -6.1744 -2.0475 -2.6196 0.2 -0.8 0.1
C -4.9259 -2.7730 -2.0634 -0.7 0.4 -0.4
O -3.8644 -2.3487 -2.9263 1.1 -0.4 -0.5
S -4.3449 -2.2387 -4.4660 -2.1 1.5 0.9
O -4.6449 -3.5378 -5.0398 1.0 1.9 0.7
O -3.6176 -1.1715 -5.1472 -1.4 -2.7 1.4
O -5.8211 -1.5978 -3.9227 0.7 -0.2 -1.1
H -6.4843 -1.2322 -1.9659 0.3 0.4 -0.4
H -7.0019 -2.7569 -2.6317 -0.1 0.0 -0.4
H -5.0619 -3.8537 -2.1034 0.3 0.0 0.0
H -4.7609 -2.4246 -1.0439 0.6 -0.2 -0.2
C -0.6491 0.1668 7.2113 0.6 -0.3 -1.1
C 0.6387 -0.2935 6.4727 -1.3 1.2 1.0
O 1.0012 -1.4057 7.2585 1.1 -1.1 1.4
S 0.8768 -1.0314 8.8897 -2.0 -0.2 -0.3
O 2.0514 -0.3511 9.4362 -2.4 -1.5 -1.4
O 0.2127 -2.1567 9.5654 2.2 2.3 -1.4
O -0.3563 0.0424 8.5578 2.3 0.1 2.9
H -1.4722 -0.5457 7.1565 -0.3 0.3 -1.4
H -0.8590 1.2015 6.9401 -0.4 -0.1 0.3
H 1.4350 0.4453 6.5630 -0.1 0.3 -0.2
H 0.3989 -0.4557 5.4219 0.4 -0.9 0.2
C 11.3732 -1.0521 3.4032 0.7 -0.8 1.1
C 10.9979 -2.1796 4.3975 0.3 -1.6 -0.8
O 9.6232 -2.1045 4.6797 -1.7 1.9 0.2
S 9.0990 -0.5457 4.5949 1.0 -1.5 0.6
O 9.4431 0.0743 5.8732 -1.0 -0.5 -2.5
O 7.7447 -0.5598 4.0371 3.3 0.5 1.0
O 10.3189 -0.1784 3.4883 -3.6 2.2 0.4
H 11.5036 -1.3764 2.3708 -0.1 -0.2 0.1
H 12.2561 -0.5084 3.7392 0.2 -0.2 -0.1
H 11.5832 -2.2179 5.3162 0.0 0.2 -0.1
H 10.9716 -3.1471 3.8961 1.0 -0.1 0.1
```
Positions in Å, forces in eV/Å.

- Spin multiplicity: 1
- HOMO level: -11.1 eV
- Frontier orbital gap: 11.21 eV
- SMILES string: O=S1(=O)OCCO1.O=S1(=O)OCCO1.O=S1(=O)OCCO1.O=S1(=O)OCCO1.O=S1(=O)OCCO1.O=S1(=O)OCCO1.O=S1(=O)OCCO1
- ΔE to the lowest compared entry with this formula, charge and spin: 148.47 kcal/mol



This record from the Open Molecules 2025 dataset describes a molecular structure, C14H29BClFN3O4P2S2Sr. The level of theory is wB97M-V/def2-TZVPD.

Geometry as XYZ:
```
58
Properties=species:S:1:pos:R:3:forces:R:3
C -2.1350 -1.3885 2.3760 0.0 -0.1 -0.3
C -1.3696 -0.5763 1.6371 -0.1 0.7 0.2
C -0.6108 -0.9450 0.3497 -0.4 -0.4 -0.5
C -1.5314 -1.8775 -0.4933 -1.0 -0.1 -0.6
C -2.7595 -1.1667 -1.2110 -0.2 -0.9 0.2
C -4.0174 -0.9343 -0.3037 -0.7 0.6 -1.0
C -4.0929 0.5645 0.1676 1.2 -0.1 0.5

_Written answer_
This record from the Open Molecules 2025 dataset describes 7 unconnected molecules or ions with the total composition C14H28O28S7. The level of theory is wB97M-V/def2-TZVPD.